Chairman, Welcomes all to the meeting.
(2) Apologies:
Trudy & Tony, Gail Starr, Gwynfor, Ian Mitchell, Eric Mawson (son very ill), Yvonne Guise, Cllr. Neil, & Cllr David Carr.
(3) Police Report:
Anti social behaviour residents of care home dealt with. Reports of 4 youths on electric bikes near Lyndale.
(4) Treasurer’s Report:
£425.86p Defibrillator Account at August, to which Secretary has sourced £200.00p with more likely to come. Brian has managed to obtain the remainder to pay the £1,300.00p demanded by the County Council for installation of the new defibrillator on the promenade from the Town Council and several Town Councillors who have donated part of their allowance allocation. With many thanks to all, we may now install this unit. Any excess cash may be deposited in the ‘Defibrillator Account’ for future use.
Defib: £625.86p, Graffiti: £2320.00p, Min y Don Park: £322.80p, OCRA: £438.13p. Brian has also obtained £1078.34p for future ‘Special Event(s) Total: £4778.13p.
(5) Peulwys Sub-Committee:
Member reported an 18 hour wait at A & E, Y.G.C.H. before signing out without seeing a doctor. No doctor available at Cadwgan surgery. He noted a new housing estate being erected next to the hospital adding to other estates mushrooming in the county on green field sites. One wonders what the future holds for us healthwise. 50 others in A & E, some seriously ill.
The Peulwys sub committee was formed to save the Peulwys field. Since then, several acres of good agricultural land have been made available, ostensibly for development, in Old Colwyn. Should we be making efforts to protect all this land, or just Peulwys?
We note that the Welsh Government seems not to adopt extensive planning legislation and guidance compelling the use of brown sites in order to protect good land, the environment and local heritage, and specifically mentions Government owned brown sites.
Secretary to contact Golf Club once more to verify if their land has been sold to date or if its sale is intended in the near future.
Our Councillors expect to be able to offer more information following planning meetings in the near future.
(6) Graffiti Project:
To be commenced end of October.
(7) Active Travel:
No further news.
(8) Life Belts on Prom:
Now know that special fencing material is awaited; also work is only possible in accordance with favourable tides/weather to complete access points to beach.
(9) Liter Pick:
It was decided to postpone this till more favourable weather arrives.
(10) Unused Building Mochdre:
No further news here. It is noted that County Council is locked into a 30 year contract here.
At last, as above, our new prom. Can have its unit installed.
(12) Statutory Speed Limit:
## Someone pasted quantum chemistry results at this point
/*
[1]
Molecular formula: C29H21Cl5N5O2V
Method: DFT, ωB97M-V with the def2-TZVPD basis set

Last column: Löwdin charge in e.
CARTESIAN COORDINATES (ANGSTROEM)
V: 0.213 0.434 0.041  1.042
C: 1.099 -0.394 -3.104  -0.083
N: 1.631 -0.570 -1.744  -0.048
C: 2.066 -1.946 -1.455  -0.077
C: 1.603 -2.330 -0.095  -0.289
N: 1.227 -1.439 0.790  0.115
C: 1.037 -2.156 1.988  -0.164
C: 0.758 -1.732 3.286  0.008
C: 0.665 -2.698 4.267  -0.048
C: 0.857 -4.060 3.987  -0.064
C: 1.182 -4.490 2.717  -0.006
C: 1.278 -3.507 1.741  -0.170
N: 1.636 -3.581 0.397  0.190
C: -0.269 0.183 -3.012  -0.273
N: -0.767 0.598 -1.877  0.075
C: -2.040 1.109 -2.176  -0.186
C: -3.001 1.700 -1.360  -0.005
C: -4.168 2.118 -1.964  -0.054
C: -4.385 1.959 -3.342  -0.064
C: -3.436 1.383 -4.161  -0.004
C: -2.262 0.969 -3.543  -0.166
N: -1.108 0.371 -4.049  0.191
H: 1.739 0.279 -3.674  0.133
H: 1.072 -1.342 -3.644  0.132
H: 2.436 0.043 -1.653  0.072
H: 1.693 -2.643 -2.206  0.131
H: 3.158 -2.012 -1.473  0.147
H: 0.668 -0.687 3.536  0.073
H: 0.454 -2.393 5.283  0.115
H: 0.768 -4.784 4.785  0.112
H: 1.363 -5.534 2.498  0.117
H: 1.908 -4.409 -0.105  0.176
H: -2.845 1.816 -0.298  0.111
H: -4.941 2.574 -1.360  0.114
H: -5.318 2.296 -3.772  0.112
H: -3.600 1.262 -5.223  0.117
H: -0.937 0.112 -5.005  0.176
Cl: -2.958 0.996 5.937  0.708
C: -2.570 0.648 4.302  -0.688
C: -3.530 0.067 3.459  -0.693
Cl: -5.099 -0.292 4.053  0.704
C: -3.212 -0.226 2.134  -0.608
Cl: -4.334 -0.949 1.049  0.741
C: -1.937 0.066 1.679  -0.330
O: -1.477 -0.167 0.429  -0.164
C: -0.998 0.671 2.496  -0.362
O: 0.177 0.905 1.879  -0.219
C: -1.299 0.954 3.821  -0.617
Cl: -0.074 1.655 4.810  0.743
Cl: 5.867 1.090 -1.735  0.710
C: 4.276 1.574 -1.258  -0.679
C: 3.851 1.374 0.038  -0.080
C: 2.557 1.753 0.404  -0.048
C: 1.675 2.323 -0.529  -0.314
C: 0.262 2.507 -0.187  -0.085
C: 2.154 2.531 -1.839  -0.038
C: 3.434 2.180 -2.200  -0.102
H: 4.521 0.941 0.768  0.121
H: 2.253 1.650 1.439  0.122
H: -0.339 2.935 -0.982  0.081
H: 0.067 2.954 0.780  0.094
H: 1.497 2.997 -2.566  0.131
H: 3.803 2.367 -3.200  0.117

The calculation puts the LUMO energy (alpha / beta) at -0.138 / -0.107 Eh. Its multiplicity is 2. The calculation puts the orbital gap (alpha / beta) at 6.7 / 7.6 eV. As for the total energy: -4786.8604 Eh. Its net charge is +1.


[2]
Molecular formula: C2H14O5
Method: DFT, ωB97M-V with the def2-TZVPD basis set

Last column: Löwdin charge in e.
CARTESIAN COORDINATES (ANGSTROEM)
C: -1.793 -0.363 1.109  -0.199
O: -0.818 -1.398 1.671  -0.086
C: -1.832 -0.419 -0.396  -0.086
H: -2.872 -0.534 1.464  0.140
H: -1.424 0.612 1.609  0.138
H: -1.364 -2.128 1.929  0.077
H: -2.729 -0.784 -0.790  0.060
H: -1.708 0.542 -0.841  0.038
H: -1.047 -1.054 -0.870  0.088
H: 1.110 -1.781 1.116  -0.022
H: 2.200 -2.736 1.732  0.096
O: 1.935 -2.197 0.949  -0.041
H: 2.504 2.099 -0.983  0.107
H: 2.045 1.033 0.124  0.103
O: 1.835 1.892 -0.328  0.210
H: 1.799 -0.483 -1.750  0.128
H: 2.712 -1.049 -0.554  0.089
O: 2.626 -0.323 -1.231  0.118
H: -1.191 3.020 -2.182  0.153
*/
No further news. Residents complaining regarding speeding vehicles on Wynnstay Road, Cliff Gardens juntion. CC will have a word with police regarding enforcement.
(a) Beach of Dreams:
Secretary attended meeting. Colwyn Bay is one of 6 resorts in U.K. chosen to explore ideas to promote the towns through literature, decorations, heritage and any other innovative manner. Our Tape and their skills are involved. The next session will be in May, 2025. Are we on board? These people were especially interested in our (fast vanishing) Welsh culture which could be exploited positively.
(a) Beach Mats:
Event on Colwyn Bay beach tomorrow, 2.10.24. All will be explained next meeting.
(17) There being no other business, meeting closed at 8.35pm.
Next meeting will be held on 5.11.24.